Sidst revideret: 28. October 2020
Executive Order on the Conditions at Alternating Places of Work
Executive Order No. 290 of 5 May 1993 on the Conditions at Alternating Places of Work issued by the Danish Ministry of Labour
The following provisions are laid down pursuant to section 17(3), section 39(1), section 43, section 73 and section 84 of the Danish Working Environment Act, cf. Consolidated Act No. 646 of 18 December 1985, as amended by Act No. 220 of 22 April 1987, Act No. 380 of 13 June 1990, Act No. 373 of 20 May 1992 and Act No. 474 of 24 June 1992:
- - -
Here is a relaxed KRe2Ir crystal from Alexandria via LeMat-Bulk. Energies are from PBE-GGA.

## Properties
total energy	-7.81	eV/atom
energy above the most stable polymorph in this dataset	1.201	eV per formula unit
space-group type	Cmmm, No. 65

Unit cell a=2.721 b=2.721 c=10.664 alpha=90.00 beta=90.00 gamma=116.89
Atoms (fractional coordinates):
K1 0.000 0.000 0.000
Re1 0.500 0.500 0.286
Re2 0.500 0.500 0.714
Ir1 0.000 0.000 0.500


No. 1
VASP calculation (GGA-PBE) on a geometry-optimized TeAsCBr2 structure.

Cell lengths 4.670, 4.670, 4.747 Å; angles 90.00, 90.00, 90.00 degrees
Element x y z (fractional)
1 Te 0.000 0.000 0.000
2 As 0.500 0.500 0.000
3 C 0.500 0.500 0.500
4 Br 0.000 0.500 0.500
5 Br 0.500 0.000 0.500

As for the energy relative to the lowest polymorph listed for this composition: 0.00 eV/f.u. As for the spin magnetization: 0.00 μB/f.u. The mass density comes out at 6.01 g cm⁻³. The formation energy without anion corrections is 1.16 eV per atom.

---

No. 2
VASP calculation (GGA-PBE) on a geometry-optimized TiAs2CBr structure.

Cell lengths 4.946, 4.946, 4.948 Å; angles 90.00, 90.00, 90.00 degrees
Element x y z (fractional)
1 Ti 0.000 0.000 0.000
2 As 0.000 0.500 0.000
3 As 0.500 0.000 0.000
4 C 0.500 0.500 0.500
5 Br 0.000 0.000 0.500

As for the energy relative to the lowest polymorph listed for this composition: 1.80 eV/f.u. As for the spin magnetization: 1.36 μB/f.u. The mass density comes out at 3.97 g cm⁻³. The formation energy without anion corrections is 1.33 eV per atom.

---

No. 3
VASP calculation (GGA-PBE) on a geometry-optimized TiAs2CBr structure.

Cell lengths 4.304, 4.304, 4.674 Å; angles 90.00, 90.00, 90.00 degrees
Element x y z (fractional)
1 Ti 0.000 0.000 0.000
2 As 0.000 0.500 0.500
3 As 0.500 0.000 0.500
4 C 0.500 0.500 0.500
5 Br 0.500 0.500 0.000

As for the energy relative to the lowest polymorph listed for this composition: 0.00 eV/f.u. As for the spin magnetization: 0.92 μB/f.u. The mass density comes out at 5.55 g cm⁻³. The formation energy without anion corrections is 0.97 eV per atom.

---

No. 4
VASP calculation (GGA-PBE) on a geometry-optimized As2WCBr structure.

Cell lengths 4.854, 4.854, 5.204 Å; angles 90.00, 90.00, 90.00 degrees
Element x y z (fractional)
1 As 0.000 0.500 0.000
2 As 0.500 0.000 0.000
3 W 0.000 0.000 0.000
4 C 0.500 0.500 0.500
5 Br 0.000 0.000 0.500

As for the energy relative to the lowest polymorph listed for this composition: 0.64 eV/f.u. As for the spin magnetization: 2.05 μB/f.u. The mass density comes out at 5.76 g cm⁻³. The formation energy without anion corrections is 1.76 eV per atom.

---

No. 5
VASP calculation (GGA-PBE) on a geometry-optimized As2WCBr structure.

Cell lengths 4.262, 4.262, 4.480 Å; angles 90.00, 90.00, 90.00 degrees
Element x y z (fractional)
1 As 0.000 0.500 0.000
2 As 0.500 0.000 0.000
3 W 0.000 0.000 0.500
4 C 0.500 0.500 0.000
5 Br 0.500 0.500 0.500
- - -
Part 1 - Scope
1.-(1) This Executive Order shall apply to work that an employer has his employees perform at a third-party enterprise or another place outside the employer’s own operation area with the limitations laid down in section 2(2), section 3 and section 4 of the Danish Working Environment Act.
(2) This Executive Order shall also apply to work within the employer’s own operation area if such work is performed in an area within the operation area not covered by the Executive Order on the Conditions at Permanent Places of Work issued by the Danish Ministry of Labour, cf. section 2(2) to (4) hereof.
(3) This Executive Order shall not apply if the work carried out is building and civil engineering work, cf. Executive Order on the Conditions at Construction Sites and Similar Places of Work issued by the Danish Ministry of Labour. However, Part 4, “Welfare facilities”, of this Executive Order shall apply wherever
the employer’s tasks on the construction site are of a duration of not more than three whole working days, and the employees’ total occupation does not exceed six man-days; or
the employees during their occupation on the construction site begin and end their daily working hours at another place than on the construction site.
2. This Executive Order shall not in any way change the special requirements concerning the conditions at a place of work laid down in the occupational health and safety legislation in general, e.g. the provisions concerning work with asbestos and work with epoxy resins and isocyanates.
3. In addition to the provisions of the occupational health and safety legislation, such rules shall apply as may have been laid down on work and places of work covered by this Executive Order in pursuance of other legislation, e.g. the fire legislation and the power regulations.
4. The obligations under this Executive Order shall rest with employers, business managers, supervisors and other employees, suppliers, project planners, repairers, etc. in accordance with the general rules laid down by the Danish Working Environment Act, cf. Part 4 of the Act.
Part 2 - General provisions
5.-(1) Before work is initiated and during the performance of the work, the employer shall assess whether the conditions are safe in terms of health and safety considering the work to be performed, and if this is not the case, he shall ensure, in so far as possible and reasonable, that the conditions are changed in such a way that the place of work is adequately designed and fitted out.
(2) Any discomfort and risks from the work shall be prevented with appropriate measures ensuring that the conditions are safe for both those performing the work and others occupied at the place of work.
(3) If making the design and fitting out of the place of work safe is not possible or reasonable, other measures shall be implemented so as to the work can be performed in a safe way, cf. especially Executive Order on the Performance of Work issued by the Danish Ministry of Labour and Executive Order on the Use of Personal Protective Equipment issued by the Danish Ministry of Labour.
6. The employer shall ensure that training and instruction of the employees comprise the special measures to be implemented considering the fact that the work is performed outside the enterprise’s area, cf. section 5. In this connection, the employees shall be instructed as to how they are to act if conditions which are hazardous to safety and health and which they cannot remedy themselves occur at a place of work.
7. Depending on the nature of the place of work and the conditions in general, adequate first aid equipment shall be available.
Part 3 - Workplaces in means of transport, etc.
8.-(1) Workplaces established in means of transport or other mobile units, e.g. for library activities, offices or clinics, shall be designed and fitted out with the necessary spaciousness and furniture ensuring that the work can be performed in a safe way in terms of health and safety.
(2) Technical equipment, installations and other equipment shall be adequately designed, fitted out and set up considering the application in the means of transport, etc.
(3) Considering the nature of the work, safe climatic conditions shall be established at the workplace, and it shall in this connection be possible to maintain a convenient temperature and have adequate intake of air from outside without any discomfort caused by draught. Good general lighting and appropriate work light at the individual workplaces shall be established. There shall be a supply of daylight unless this is not compatible with the nature of the work.
(4) The access and exit conditions of the workplaces shall be adequate in terms of safety.
9. -(1) If means of transport or similar are made available to the employee as a sleeping place during intervals of rest agreed upon or required or during guard duty with access to sleep, these shall be safely designed and fitted out with a view to this.
(2) The sleeping place shall be designed and fitted out in such a way that there is adequate space and it is possible to lie at full length and change position during the rest. It shall be possible to store any personal belongings in so far as necessary.
(3) The sleeping place shall be insulated against cold, heat and noise and have appropriate climatic conditions, including adequate intake of fresh air without any discomfort caused by draught. It shall be equipped with adequate artificial lighting and a view of the surroundings.
(4) There shall be safe access and exit conditions and an adequate escape route from the sleeping place. Sleeping places set up in motor lorries shall be directly accessible from the driver’s cab and have an emergency exit that can easily be opened directly to the outside.
Part 4 - Welfare facilities
10.-(1) The employer shall ensure that the employee has access to
appropriate eating facilities if there are meal breaks during the work;
washbasin in so far as possible with running water and, if washing in hot water is necessary for health reasons, access to adequate amounts of this;
adequate storage of clothes and personal belongings.
(2) There shall also be access to
changing of clothes, if clothes are to be changed due to the nature of the work;
drying of the working clothes if these get wet in connection with the work;
shower and changing with separate storage of ordinary clothes and working clothes if the work
a) is very dusty or in any other way very soiling;
b) involves a risk of contamination with materials that may be infectious;
c) involves a risk of getting into contact with substances and materials that on grounds of safety and health must be removed from the skin or be stopped from spreading; or
d) exposes the employee to high temperatures or considerable physical strain.
11.-(1) Access to the facilities required in pursuance of section 10 shall be established in one of the following ways or through a combination hereof, cf. also section 12:
The facilities shall be available or established at the place of work or immediately close to this safely designed and fitted out in appropriate indoor areas available while work is being carried out.
The facilities shall be established at the place of work in site huts or other mobile units that are suitable and safely designed and fitted out. Non-discharge lavatories shall be of the same hygienic standard as discharge lavatories. If a site hut or similar is made available to more than four persons, it shall comply with the requirements in the Executive Order on the Design of Site Huts and Similar Units issued by the Danish Working Environment Authority, and lavatories shall in so far as possible and reasonable be connected to the sewage system.
The facilities shall be available at a meeting place, place of departure or similar set up by the employer. If the meeting place is a permanent place of business, workshop or similar within the employer’s enterprise, the facilities shall comply with the requirements concerning welfare facilities at permanent places of work. If the meeting place is of a temporary nature, the facilities shall comply with the requirements concerning site huts as stated in item 2). The lavatory facilities of the meeting place shall, however, only be deemed to give adequate lavatory access if the employee as part of his work returns to the meeting place at suitable intervals or in another way has a possibility of using the lavatory facilities at the meeting place while carrying out his work. If this is not the case, another lavatory of appropriate hygienic standard shall be available to the employee adequately close to the place of work.
(2) Wherever washing or bathing facilities are not established at the actual place of work, the employees shall always have the possibility of washing themselves adequately at the place of work, if necessary in hot water and with special cleaning agents, if the work involves any risk of contamination with materials that may be infectious or of exposure to substances and materials that on grounds of safety and health must be removed from the skin or be stopped from spreading.
(3) Women and men shall either have separate bathrooms and changing rooms or have the possibility of using the same room separately.
12.-(1) If the ways mentioned in section 11 cannot be applied, e.g. because the work consists of or is connected with long-distance transport, or if using a meeting place is not convenient, the employer shall ensure that the employees have access to the facilities required in pursuance of section 10 in another reasonable and safe way, e.g. through suitable rests at adequate places or by using the means of transport provided that these are suitable for this.
(2) The employee shall not be required to use the facilities in his private residence, if the work is very soiling or involves any risk of contamination with materials that may be infectious or of exposure to substances and materials that on grounds of safety and health must be removed from the skin or be stopped from spreading.
Part 5 - Detailed rules
13.-(1) The Director General of the Danish Working Environment Authority shall be authorised, together with the Danish Working Environment Council, cf. section 66(1), item 3, of the Danish Working Environment Act, to lay down detailed rules in accordance with the aforesaid provisions.
(2) The rules may include references to acknowledged norms and standards concerning health and safety provided that they are specified clearly and include dating.
**Inserted here: crystal structures**
'''
Entry 1:
VASP calculation (PBE) on Sc5AsSe5 after structural relaxation.

abc: 5.473 6.673 7.690
angles: 106.75 90.00 114.21
Sites, in units of the cell vectors:
Sc1 0.162 0.325 0.332
Sc2 0.839 0.678 0.171
Sc3 0.161 0.322 0.829
As1 0.000 0.000 0.000
Se1 0.667 0.334 0.335
Se2 0.332 0.663 0.166
Sc4 0.500 0.000 0.000
Se3 0.000 0.000 0.500
Se4 0.333 0.666 0.665
Se5 0.668 0.337 0.834
Sc5 0.838 0.675 0.668

Summary:
Its uncorrected formation energy is -1.66 eV per atom. For the magnetization, the calculation gives 0.0 μB/f.u. As for the total energy: -6.543 eV/atom.

Entry 2:
VASP calculation (PBE) on ScAsSe after structural relaxation.

abc: 3.761 3.761 8.860
angles: 102.25 102.25 90.00
Sites, in units of the cell vectors:
Se1 0.811 0.811 0.622
Sc1 0.359 0.359 0.719
As1 0.000 0.500 0.000
Sc2 0.641 0.641 0.281
As2 0.500 0.000 0.000
Se2 0.189 0.189 0.378

Summary:
Its uncorrected formation energy is -1.20 eV per atom. For the magnetization, the calculation gives 0.0 μB/f.u. As for the total energy: -6.018 eV/atom.

Entry 3:
VASP calculation (PBE) on Sc6AsSe5 after structural relaxation.

abc: 6.716 6.716 6.726
angles: 99.52 99.52 120.11
Sites, in units of the cell vectors:
Sc1 0.920 0.598 0.759
Se1 0.500 0.500 0.500
Sc2 0.598 0.920 0.759
Se2 0.830 0.170 0.500
Sc3 0.758 0.758 0.241
Sc4 0.402 0.080 0.241
Sc5 0.242 0.242 0.759
Se3 0.667 0.333 0.000
As1 0.000 0.000 0.000
Se4 0.333 0.667 0.000
Se5 0.170 0.830 0.500
Sc6 0.080 0.402 0.241

Summary:
Its uncorrected formation energy is -1.59 eV per atom. For the magnetization, the calculation gives 0.0 μB/f.u. As for the total energy: -6.592 eV/atom.

Entry 4:
VASP calculation (PBE) on ScAsSe after structural relaxation.

abc: 4.584 4.584 4.584
angles: 60.00 60.00 60.00
Sites, in units of the cell vectors:
Sc1 0.500 0.500 0.500
Se1 0.250 0.250 0.250
As1 0.000 0.000 0.000

Summary:
Its uncorrected formation energy is -0.37 eV per atom. For the magnetization, the calculation gives 0.0 μB/f.u. As for the total energy: -5.191 eV/atom.

Entry 5:
VASP calculation (PBE) on Sc4As3Se after structural relaxation.

abc: 5.481 5.481 5.481
angles: 90.00 90.00 90.00
Sites, in units of the cell vectors:
Sc1 0.500 0.000 0.000
Sc2 0.000 0.500 0.000
Sc3 0.500 0.500 0.500
As1 0.000 0.500 0.500
As2 0.500 0.000 0.500
Sc4 0.000 0.000 0.500
As3 0.500 0.500 0.000
Se1 0.000 0.000 0.000

Summary:
Its uncorrected formation energy is -1.47 eV per atom. For the magnetization, the calculation gives 0.0 μB/f.u. As for the total energy: -6.811 eV/atom. The calculation puts the relative energy among the computed polymorphs at 14 meV/atom.

Entry 6:
VASP calculation (PBE) on Sc8As3Se4 after structural relaxation.

abc: 7.671 7.684 7.684
angles: 89.97 120.00 120.00
Sites, in units of the cell vectors:
Sc1 0.500 0.745 0.255
Sc2 0.000 0.749 0.251
Sc3 0.993 0.747 0.747
Se1 0.000 0.500 0.000
As1 0.500 0.000 0.500
Sc4 0.000 0.251 0.749
Se2 0.000 0.000 0.500
Se3 0.500 0.000 0.000
Sc5 0.500 0.255 0.745
Se4 0.000 0.000 0.000
As2 0.500 0.500 0.000
'''
14. The Director General of the Danish Working Environment Authority shall issue WEA guidelines specifying how the provisions of the Executive Order and the detailed rules can be met.
15. Rules in pursuance of this Executive Order that affect other legislation shall be laid down following prior consultation with the respective authorities.
Part 6 - Exemptions and appeals
16.-(1) The Director General of the Danish Working Environment Authority may permit derogations from the provisions of this Executive Order where this is deemed to be reasonable and fully acceptable.
(2) The Director General of the Danish Working Environment Authority may empower the Regional Inspectorates to, to a specifically defined extent, permit derogations from the provisions of this Executive Order and the detailed rules laid down under this.
17. Any decisions made by the Danish Working Environment Authority under this Executive Order may be appealed in accordance with section 81 of the Danish Working Environment Act.
Part 7 - Penalty provisions
18.-(1) Unless a more severe penalty is prescribed by the Danish Working Environment Act or any other legislation, anyone who
contravenes sections 5 to 12;
fails to comply with any improvement notice issued in accordance with the provisions of this Executive Order; or
neglects the conditions for exemptions granted under this Executive Order
shall be punished with a fine or imprisonment.
(2) For contravention of sections 5 to 7 an employer may be held liable to pay a fine even if he has not acted intentionally or negligently. There shall be no alternative sentence in lieu of the fine.
(3) If a public limited company, a private limited company, cooperative or similar body contravenes these provisions, the company as such may be held liable to pay a fine. If the Government, a municipality or a municipal community in accordance with section 60 of the Danish Local Government Act contravenes these provisions, the Government, the municipality or the municipal community may be held liable to pay a fine.
Part 8 - Entry into force
19.-(1) This Executive Order shall enter into force on 15 May 1993, cf. also subsection (2).
(2) Section 8(3) and (4) and section 9(3) and (4) shall enter into force on 15 November 1993. However, the provision of section 9(3), last sentence, concerning view from sleeping place shall only apply to buses with effect from the following dates: 15 November 1994 as regards buses registered in Denmark after 14 May 1993; 1 January 2003 as regards buses registered in Denmark before 15 May 1993.
(3) With effect from 15 May 1993, the following provisions of Executive Order No. 611 of 18 December 1985 on rules in accordance with the former legislation to protect workers, which shall with minor amendments remain in force after the entry into force of the Danish Working Environment Act, shall be repealed in pursuance of section 2, item 1):
Danish Health and Safety at Work (General) Act, cf. Consolidated Act No. 297 of 4 July 1968 as amended by section 15(1) and (3) of Act No. 330 of 19 June 1974.
The Danish Ministry of Labour, 5 May 1993
Jytte Andersen/ Henrik Grove